(Assignment)
Now find "0.088" and "0.581" in the listing underneath, and transcribe these two lines and those between.
(Contents)
-- begin --
# 1
The following is a PBE calculation of a geometry-optimized NaTiP2O7 structure, from the Materials Project.

Formation energy = -2839.6 meV per atom
SG = P2_1/c

Geometry as POSCAR:
```
NaTiP2O7
1.0
-2.648 -4.448 -1.200
6.003 -4.751 4.362
-2.290 -2.180 13.132
O Na Ti P
28 4 4 8
Direct
0.944 0.307 0.588
0.781 0.839 0.763
0.487 0.748 0.653
0.097 0.295 0.037
0.756 0.019 0.558
0.903 0.705 0.963
0.226 0.479 0.129
0.513 0.252 0.347
0.256 0.981 0.942
0.987 0.252 0.847
0.013 0.748 0.153
0.219 0.161 0.237
0.744 0.019 0.058
0.056 0.693 0.412
0.719 0.839 0.263
0.597 0.705 0.463
0.040 0.274 0.366
0.460 0.274 0.866
0.281 0.161 0.737
0.774 0.521 0.871
0.403 0.295 0.537
0.244 0.981 0.442
0.960 0.726 0.634
0.540 0.726 0.134
0.274 0.479 0.629
0.556 0.307 0.088
0.726 0.521 0.371
0.444 0.693 0.912
0.270 0.554 0.310
0.730 0.446 0.690
0.770 0.446 0.190
0.230 0.554 0.810
0.764 0.263 0.971
0.236 0.737 0.029
0.736 0.263 0.471
0.264 0.737 0.529
0.755 0.833 0.145
0.745 0.833 0.645
0.255 0.167 0.355
0.722 0.683 0.885
0.245 0.167 0.855
0.278 0.317 0.115
0.778 0.683 0.385
0.222 0.317 0.615
```



# 2
The following is a PBE calculation of a geometry-optimized NaTiPO5 structure, from the Materials Project.

Formation energy = -2983.7 meV per atom
SG = Pnma
Distance to the lowest polymorph of the same formula = 17.3 meV/atom

Geometry as POSCAR:
```
NaTiPO5
1.0
-2.975 -5.412 -2.176
5.854 -1.424 -4.461
3.352 -4.142 5.720
O Na P Ti
20 4 4 4
Direct
0.059 0.365 0.224
0.559 0.135 0.724
0.059 0.865 0.276
0.941 0.135 0.724
0.250 0.054 0.493
0.250 0.714 0.521
0.750 0.446 0.993
0.441 0.865 0.276
0.250 0.892 0.829
0.559 0.635 0.776
0.441 0.365 0.224
0.750 0.286 0.479
0.750 0.786 0.021
0.750 0.108 0.171
0.250 0.392 0.671
0.750 0.946 0.507
0.750 0.608 0.329
0.250 0.554 0.007
0.250 0.214 0.979
0.941 0.635 0.776
0.000 0.000 0.000
0.500 0.000 0.000
0.000 0.500 0.500
0.500 0.500 0.500
0.750 0.125 0.608
0.250 0.875 0.392
0.250 0.375 0.108
0.750 0.625 0.892
0.750 0.335 0.215
0.250 0.665 0.785
0.250 0.165 0.715
0.750 0.835 0.285
```



# 3
The following is a PBE calculation of a geometry-optimized Na5Y3TiP6O24 structure, from the Materials Project.

Formation energy = -3053.0 meV per atom
SG = P1

Geometry as POSCAR:
```
Na5Y3TiP6O24
1.0
9.173 -0.002 0.003
-4.588 7.939 0.006
0.008 0.022 23.237
O P Ti Na Y
72 18 3 15 9
Direct
0.650 0.114 0.138
0.196 0.994 0.908
0.677 0.148 0.747
0.363 0.865 0.865
0.523 0.686 0.255
0.513 0.145 0.922
0.199 0.178 0.079
0.879 0.354 0.639
0.681 0.520 0.531
0.650 0.534 0.639
0.191 0.970 0.196
0.832 0.316 0.531
0.837 0.799 0.583
0.976 0.184 0.299
0.508 0.350 0.429
0.881 0.527 0.137
0.357 0.865 0.574
0.680 0.163 0.029
0.125 0.491 0.576
0.534 0.907 0.364
0.198 0.021 0.581
0.130 0.678 0.472
0.549 0.679 0.973
0.521 0.862 0.076
0.832 0.513 0.029
0.633 0.488 0.924
0.651 0.159 0.429
0.813 0.006 0.415
0.957 0.166 0.584
0.040 0.801 0.695
0.163 0.478 0.255
0.846 0.322 0.245
0.521 0.659 0.577
0.213 0.025 0.303
0.321 0.454 0.467
0.841 0.492 0.430
0.189 0.238 0.700
0.192 0.185 0.414
0.504 0.637 0.865
0.476 0.117 0.634
0.799 0.804 0.909
0.836 0.038 0.080
0.028 0.223 0.192
0.360 0.493 0.075
0.476 0.154 0.246
0.092 0.626 0.364
0.319 0.868 0.971
0.214 0.198 0.805
0.995 0.808 0.415
0.814 0.021 0.801
0.548 0.870 0.472
0.855 0.366 0.924
0.957 0.790 0.079
0.481 0.347 0.748
0.778 0.804 0.192
0.762 0.953 0.696
0.678 0.523 0.245
0.470 0.355 0.136
0.974 0.788 0.801
0.316 0.837 0.256
0.816 0.791 0.299
0.484 0.322 0.028
0.856 0.520 0.747
0.132 0.498 0.865
0.375 0.461 0.360
0.130 0.450 0.974
0.125 0.633 0.075
0.312 0.491 0.763
0.006 0.201 0.909
0.478 0.158 0.527
0.168 0.680 0.764
0.517 0.826 0.764
0.376 0.043 0.579
0.637 0.983 0.420
0.692 0.989 0.752
0.378 0.334 0.078
0.951 0.618 0.079
0.346 0.361 0.418
0.622 0.654 0.917
0.032 0.378 0.918
0.298 0.996 0.251
0.668 0.044 0.079
0.011 0.701 0.752
0.669 0.625 0.582
0.699 0.702 0.248
0.017 0.654 0.421
0.003 0.301 0.248
0.299 0.314 0.755
0.951 0.332 0.582
0.347 0.971 0.917
0.666 0.334 0.977
0.333 0.675 0.822
0.664 0.333 0.481
-- stop --
(Reply)
0.556 0.307 0.088
0.726 0.521 0.371
0.444 0.693 0.912
0.270 0.554 0.310
0.730 0.446 0.690
0.770 0.446 0.190
0.230 0.554 0.810
0.764 0.263 0.971
0.236 0.737 0.029
0.736 0.263 0.471
0.264 0.737 0.529
0.755 0.833 0.145
0.745 0.833 0.645
0.255 0.167 0.355
0.722 0.683 0.885
0.245 0.167 0.855
0.278 0.317 0.115
0.778 0.683 0.385
0.222 0.317 0.615
```



# 2
The following is a PBE calculation of a geometry-optimized NaTiPO5 structure, from the Materials Project.

Formation energy = -2983.7 meV per atom
SG = Pnma
Distance to the lowest polymorph of the same formula = 17.3 meV/atom

Geometry as POSCAR:
```
NaTiPO5
1.0
-2.975 -5.412 -2.176
5.854 -1.424 -4.461
3.352 -4.142 5.720
O Na P Ti
20 4 4 4
Direct
0.059 0.365 0.224
0.559 0.135 0.724
0.059 0.865 0.276
0.941 0.135 0.724
0.250 0.054 0.493
0.250 0.714 0.521
0.750 0.446 0.993
0.441 0.865 0.276
0.250 0.892 0.829
0.559 0.635 0.776
0.441 0.365 0.224
0.750 0.286 0.479
0.750 0.786 0.021
0.750 0.108 0.171
0.250 0.392 0.671
0.750 0.946 0.507
0.750 0.608 0.329
0.250 0.554 0.007
0.250 0.214 0.979
0.941 0.635 0.776
0.000 0.000 0.000
0.500 0.000 0.000
0.000 0.500 0.500
0.500 0.500 0.500
0.750 0.125 0.608
0.250 0.875 0.392
0.250 0.375 0.108
0.750 0.625 0.892
0.750 0.335 0.215
0.250 0.665 0.785
0.250 0.165 0.715
0.750 0.835 0.285
```



# 3
The following is a PBE calculation of a geometry-optimized Na5Y3TiP6O24 structure, from the Materials Project.

Formation energy = -3053.0 meV per atom
SG = P1

Geometry as POSCAR:
```
Na5Y3TiP6O24
1.0
9.173 -0.002 0.003
-4.588 7.939 0.006
0.008 0.022 23.237
O P Ti Na Y
72 18 3 15 9
Direct
0.650 0.114 0.138
0.196 0.994 0.908
0.677 0.148 0.747
0.363 0.865 0.865
0.523 0.686 0.255
0.513 0.145 0.922
0.199 0.178 0.079
0.879 0.354 0.639
0.681 0.520 0.531
0.650 0.534 0.639
0.191 0.970 0.196
0.832 0.316 0.531
0.837 0.799 0.583
0.976 0.184 0.299
0.508 0.350 0.429
0.881 0.527 0.137
0.357 0.865 0.574
0.680 0.163 0.029
0.125 0.491 0.576
0.534 0.907 0.364
0.198 0.021 0.581